Read Angel 6.0: Enslaved Page 6

  Naked with the Emperor holding my hand, I had no idea which way this conversation was going. I pulled away from his grip and dressed quickly under his unflinching, watchful gaze. “What kind of reports? You mean the Captain’s reports?”

  “The Captain has not said anything untoward, except to make clear his claim on you. The rumors stem from the Warriors who serve him. Two Warriors were disturbed by the way Captain Cronin has treated you.”

  “What claim does the Captain hold over me?”

  The Emperor glanced down at the collar around my neck, the only clothing I could never remove. The physicians hadn’t even tried to remove it. “The Captain claims you are his by right under the treaty between the Traders Guild and Humans. The Captain’s report states you are not natural-born. You were birthed on Nugene, a special design, similar to the workers who are specially designed for the Gran. He reports you are a new kind of worker.”

  “Yes, I was born on Nugene, but I am not a worker. I am nothing like them. I was made special for human medical research. I was never intended for the Gran. My genetics were engineered to explore certain capacities of human development.”

  “It is unfortunate. The nature of the Trading Guild’s arrangement with Nugene gives the Captain rights to their creations. Captain Cronin is correct.”

  Fury blazed across my body and my hands began to shake with the adrenaline rush. My vision honed in sharply on the Emperor. “The Captain entraps me in his cabin and uses me to serve his sick addiction. Is this the right you believe he holds? To be his concubine, abused endlessly to serve his desires?”

  Time slowed to a crawl and my heart rate soared as strength flooded my body. I seized the Emperor’s hands tightly. In my rage, I was gearing up for battle. I fought hard to regain control before I lost it in front of the Emperor. My hands fisted around the Emperor’s claws with enough force to cut into my own palms.

  He watched me closely, and his features betrayed nothing. “There are many complexities to Gran laws, but the right to property is clear. When the Captain acquired you from Nugene, you became his. Though his actions are morally questionable, there is nothing uncommon about Trading Guild officers enjoying concubines. Males need companionship. Traders often bring concubines aboard for their journeys into deep space. These arrangements are legal. In your case it is unusual, only because you are not of our species. This does not change the law which states you are his property.”

  Tears blurred my vision. I had known this instinctively, I’d been living under this law since the moment Captain Cronin stole me from Nugene, but to have it spelled out and confirmed as my future shredded my soul to pieces. “Why would you speak of bringing me into your home, of my bond to your son? Why say these things when you know I am the property of the Captain?”

  “You are in my home, now. You will stay in my home until your journey for this trade meeting with humans. Then, you will accompany the Captain and serve him, however he chooses. I can occupy your time as long as you stay within our system. When you are needed, you will go with the Captain. My authority gives me no right to take property from another. Were I to negotiate for your purchase, the Trading Guild would block the transaction.”

  The Emperor dropped before me to one knee, face to face and eye to eye. “My views of Gran trade policies are unpopular with the majority of the Traders Guild. They maneuver constantly to blockade my initiatives. It is an age-old power struggle between the Traders Guild and the Emperor. My father and his father fought the same battle. I have stretched my authority in borrowing Captain Cronin’s servant. I know you do not understand our ways yet, and I would teach you, but I am limited in what I can do for you. I hope to avoid making you more of a political target than you are.”

  “What of my freedom? Do my wishes mean nothing? You said all things are possible. You spoke of lofty ideals and a new consideration of humanity. The man I love waits for me on the other side of the galaxy. I need him!” My tears blurred my vision again, and the squeezing desperation in my chest stole my breath. These damned Cats and their twisted laws pushed me over the edge of sanity.

  Holding my eyes, taking my anguish in stride, he nodded. “Angel, for you, all things are possible. You are a singularly gifted soul. The Gran and Humanity need you, yet none truly appreciate your worth. Opportunities await one such as you to discover your destiny among the stars. I foresee a time when freedom is in your reach. Know this, Angel; wherever you stand amidst Gran and Human relations, you will always be welcome in my home.”

  He pulled me in for a strong, warm, furry embrace, and let me cry on his powerful shoulder.

  “I pray to Lura that the Gran can learn from you, Angel, and that you can learn from us.”

  I learned the massive suite I had dined in with the Emperor and his family was really only Rollick’s bedroom. The other attached room was for his sister, Lenka. Rollick and Lenka decided I should have the grand tour of the facility and hauled me off into the corridors. They each held my hand as they chattered incessantly about every aspect of the seat of the Royal Empire of the Allied Federation of the Gran.

**Inserted here: calculated molecules:**
~~~
No. 1
Computed, not measured: a cluster of 7 separate species, C30H57FIN8O7 in total at a distorted geometry, with ωB97M-V/def2-TZVPD.

The geometry in XYZ format:
```
104
Properties=species:S:1:pos:R:3:mulliken_charge:R:1
C 8.21 -1.93 -1.40 -0.645
C 6.93 -2.43 -1.58 -0.129
C 5.93 -2.23 -0.42 -1.130
N 5.00 -1.05 -0.59 0.069
C 5.27 0.09 0.08 -0.447
O 6.36 0.22 0.87 -0.483
C 4.45 1.19 0.01 -0.012
C 3.29 1.14 -0.79 0.997
C 2.42 2.38 -0.77 -0.249
C 3.20 3.63 -1.20 -0.726
N 3.53 4.49 -0.34 -0.545
C 3.04 -0.04 -1.53 0.701
C 1.77 -0.05 -2.39 0.277
C 0.65 -0.79 -1.60 -0.272
F 1.99 -0.59 -3.66 -0.383
C 3.90 -1.11 -1.41 -0.818
I 3.61 -2.93 -2.47 0.192
H 8.39 -0.84 -1.43 0.262
H 9.07 -2.57 -1.16 0.285
H 6.65 -2.93 -2.51 0.301
H 6.55 -2.10 0.47 0.438
H 5.36 -3.15 -0.23 0.516
H 6.38 -0.47 1.55 0.373
H 4.67 2.10 0.56 0.584
H 1.46 2.28 -1.29 0.469
H 2.17 2.56 0.29 0.095
H 3.47 3.82 -2.26 0.424
H 4.05 5.26 -0.79 0.248
H 1.39 0.96 -2.57 0.300
H 0.23 -1.67 -2.11 -0.118
H 1.01 -1.07 -0.60 0.081
H -0.16 -0.06 -1.41 0.183
C -1.52 0.02 -5.41 -1.182
C -2.31 0.33 -4.16 0.644
O -1.89 1.08 -3.29 -0.647
N -3.53 -0.24 -4.02 -0.083
C -4.22 -1.16 -4.92 -0.929
H -0.57 0.55 -5.38 0.254
H -1.31 -1.05 -5.47 0.358
H -2.07 0.34 -6.30 0.411
H -3.99 0.02 -3.16 0.212
H -5.17 -0.71 -5.22 0.335
H -4.42 -2.08 -4.39 0.311
H -3.63 -1.38 -5.80 0.326
C -1.55 -3.39 -3.73 -0.517
C -2.37 -4.37 -4.55 0.345
O -3.30 -3.98 -5.24 -0.650
N -2.03 -5.68 -4.51 -0.174
C -0.95 -6.31 -3.76 -0.791
H -1.95 -2.39 -3.87 -0.301
H -1.62 -3.64 -2.67 0.534
H -0.51 -3.39 -4.06 0.436
H -2.61 -6.26 -5.08 0.253
H -0.28 -6.81 -4.46 0.284
H -1.38 -7.05 -3.08 0.284
H -0.39 -5.58 -3.18 0.293
C 1.02 8.34 2.68 -1.306
C 1.98 7.32 2.11 0.886
O 2.89 6.85 2.77 -0.646
N 1.80 6.95 0.81 0.026
C 0.79 7.40 -0.12 -0.760
H 1.29 8.54 3.71 0.298
H 1.09 9.28 2.12 0.361
H 0.00 7.96 2.65 0.328
H 2.48 6.26 0.50 0.154
H 0.21 6.54 -0.46 0.102
H 1.29 7.85 -0.99 0.310
H 0.13 8.13 0.32 0.363
C -1.31 4.00 0.05 -1.201
C -0.78 2.86 0.89 0.760
O -0.11 1.96 0.40 -0.526
N -1.07 2.86 2.21 -0.140
C -1.84 3.83 2.96 -0.962
H -1.00 3.87 -0.98 0.324
H -2.40 4.02 0.09 0.392
H -0.91 4.95 0.42 0.165
H -0.69 2.07 2.70 0.213
H -1.21 4.25 3.75 0.319
H -2.69 3.33 3.42 0.300
H -2.21 4.64 2.33 0.367
C 1.05 -2.66 2.42 -0.847
C 0.00 -3.75 2.41 0.676
O 0.26 -4.88 2.02 -0.681
N -1.24 -3.44 2.83 -0.084
C -1.73 -2.16 3.32 -0.729
H 1.99 -3.06 2.05 0.228
H 0.74 -1.84 1.77 0.073
H 1.20 -2.30 3.44 0.400
H -1.89 -4.21 2.80 0.202
H -2.11 -2.29 4.34 0.265
H -2.56 -1.83 2.68 0.259
H -0.96 -1.40 3.32 0.256
C -4.74 -4.21 5.46 -1.245
C -4.85 -2.75 5.84 0.787
O -3.88 -2.01 5.86 -0.653
N -6.08 -2.28 6.17 -0.166
C -7.34 -2.99 6.21 -0.818
H -3.70 -4.44 5.22 0.249
H -5.06 -4.84 6.29 0.384
H -5.35 -4.42 4.58 0.355
H -6.08 -1.30 6.42 0.236
H -8.04 -2.51 5.52 0.281
H -7.75 -2.94 7.22 0.287
H -7.22 -4.04 5.93 0.316
```

Results
2S+1 = 1
HOMO-LUMO gap = 7.46 eV
E_tot = -69097.900 eV
charge = +1
LUMO energy = -0.1273 hartree

No. 2
~~~
**Back to the text:**

  The entire monstrous football space station the size of a small moon was essentially the Emperor’s palace, which housed the theater where I’d almost died, several dining halls, huge conference rooms, a whole wing for the Trader’s Guild, a battle arena for gladiator sports, commerce centers with stores and shops, and even a tropical garden-park. The garden alone stretched several kilometers in diameter. Lenka led us on a winding series of paths and bridges through the garden while her and Rollick pointed out the little creatures around us and the huge, leafy green, purple, orange and black plant life.

  There were many affectionate couples in the gardens, strolling hand in hand, laying together in the purple grassy areas. I wished Cesar could be here with me to enjoy the alien wonder and beauty, things no human had ever witnessed.

  Hours later, starving and seemingly lost in the endless expanse of the station, Rollick and Lenka pulled me along to what looked like a food court at a supermall I’d seen in Earthside holovids. Vendors of foods and goods lined a huge open circle, with seating couches and tables in the center. We passed one store that had several unclothed females standing out front. I stopped short, fascinated by female Gran anatomy. I’d never seen a naked female’s body.

  The four females on display had their fur dyed in brilliant colors of orange, red, yellow, green and blue. Their gaudy colored stripes accented their darker, natural stripes. Their breasts weren’t much more than nipples, and their genitalia were basically the same as a woman’s, only larger, more fleshy. Rollick started to protest and pull on my hand as one of the females flicked her long, curling, provocative tongue at him. She reached down to her hips and ran her claws across a series of tan-colored lines of bare skin, as though showcasing her markings.

  “Come, Angel. Stay away from them.” Rollick pulled me off to a food booth, but I kept looking back, fascinated by these strange, aggressively sensual females. Rollick ordered some food for me, and tugged on my hand to get my attention. “Forget them. They are concubines!” He spoke it like a curse word.

  Then it suddenly made sense. The markings on their hips were scars, just like the marks Captain Cronin left on my body. Only I didn’t scar.

  I hesitated to ask, but I needed to know. “What is wrong with concubines?”

  Rollick squished his face up as though he scented something distasteful.

  Lenka looked at me funny. “They are unmated females of little value. Concubines and the males who attend them are the dregs of Gran society. The Traders pay for a concubine’s companionship on long, interstellar journeys. They use amixa.”

  I listened carefully to her every word and nuance of judgmental tone. I needed to understand what it all meant to Lenka and Rollick, to the Gran. Food servers escorted us to a table and arranged our plates while I waited for Rollick or Lenka to explain further, but they were silent.

  Sensing I had dipped into the realm of impropriety,
I risked pushing for more. “What is amixa?”

  Lenka’s eyes flicked to Rollick and then to the females loitering in front of their store, harassing the males who passed by. “Amixa is a concentrated essence of female mating scent. The females have a special recipe made to drive men into a manic, perverse mating craze. The females sell the drug and prostitute their bodies in the name of profits. Unmated females become very wealthy from the addictive quality of the drug. Males who use it always want more, and they become very aggressive, violent. The females bear the scars of the addicts who lose control under the influence of amixa.” Lenka drew her claws over her own unmarked hips to show how the females got their markings.

  Rollick inclined his head towards the girls. “Most males would not consider mating a scarred female like that.”

  I couldn’t help but recall the marks Rollick made on my body when he was mauling me in his panic. The youngster seemed to have forgotten his own indiscretions.

  Lenka added, “The scars are a mark of shame and over indulgence. Even clothed, everyone sees the scars and knows what concubines do to earn their money.” Lenka’s eyes pierced me, probing deep. “Only high-ranking Traders can afford the expense of a concubine. Like your Captain Cronin. I have seen him pass through those doors.”

  Gran females had an unnerving habit of alluding to things without speaking directly. Lenka was doing it now. I suspected she’d heard the rumors from the Warriors aboard Captain Cronin’s ship, or she was an exceptionally perceptive Cat. Either way, I felt the judgment in her gaze.

  Her snipish tone ignited my ire. “The concubines choose their lives. They choose when they wish to pleasure a male, correct?”

  Lenka nodded. “Females control the terms and set their prices.”

  “What a luxury that would be, to have control over my time and choices. Maybe someday I too can have the freedom to choose.”

  Lenka blinked several times. She caught my meaning, but didn’t comment any further.

  Rollick looked at me with amusement in his eyes. “Stop worrying about the concubines. I will take you to the arena where the males fight! Have you ever seen a Warrior in full battle dress? It’s magnificent! Father says I will be a great Warrior like him. He’s been teaching me!”

  I decided it unwise to chat about the half dozen Gran Warriors I sliced and diced in my short-lived escape from Cronin’s ship.

  Chapter 9

  Between Rollick and Lenka’s endless chatter and brief moments of conversation with the Emperor or Empress, my days passed amazingly fast. Rollick demanded I sleep in his room at night, and Lenka refused to lose that argument, so it was decided they both got a share of me. An oversized plush couch served as our bed and I slept squeezed between two furry, squirming heaters to keep me warm. I soon learned that Rollick snored, and Lenka talked to herself in her sleep.

  Life in the Emperor’s home was a relentless and fascinating study of Gran history, politics, law and culture. My head filled with all things Gran. The only thing missing was Cesar. I could not get the man out of my mind. Some days I wondered if it was Cesar’s similarity to his brother Jason that drew me to him. That may have been true when first we met, but it was Cesar’s name on my lips, and Cesar’s face that I dreamed of.

  He was complex, furtive, a thieving pirate, yet also loving, kind, considerate, and fascinating. Was it his intellect that intrigued me? Yes, but it was more. I could not forget the three weeks we spent together. That single experience stood out as a shining peak of happiness in my life, the happiest I’d ever been. I wanted that happiness again. I needed it.

  Though I waited impatiently for the time when Captain Cronin made the trip to the other side of the galaxy to Nugene, and the prospect of seeing Cesar once more, I dreaded the trip aboard the Captain’s ship, trapped in his cabin. I’d been spoiled by the affectionate, pleasant life with the Emperor and his family. Rollick sitting on my lap. Rollick laying with his head against my shoulder. Rollick and Lenka wrapped around me in a Cat pile of warm fur through the night.

  The thought of returning to the drunken debasement of a concubine made me physically sick to my stomach. The day came all too soon when Rollick and his sister escorted me to the Traders Guild complex where Captain Cronin awaited me.

  “My dear, Angel. It is good to see you again. The Emperor’s hospitality has done you well.” Captain Cronin’s eyes reflected his genuine pleasure. I’m sure his filthy mind was full of all the ways he’d make up for my absence.

  Rollick wouldn’t let go of my arm, not even when Lenka chastised him for being foolish. I could see the anxiety in Rollick’s eyes. The youngster sensed the depravity hid behind the Captain’s warm welcome. I pried Rollick’s claws off my arm and rubbed him nose to nose, an intimate sign of affection. “Thank you so much, Prince Rollick. You have been a gracious host and a wonderful friend. Until we meet again.”

  Rollick finally let me go, but I could see how much it pained him. Lenka was wiser. She rubbed noses with me and squeezed my hands. “I pray for your safe return and await your next visit. You are always welcome in the royal house of Grandrock.”

  With that I began my journey back to Cesar.

  As we made our launch out into deep space, leaving the Emperor’s Palace far behind, the Captain surprised me when he deposited me in a room across the corridor from his cabin. I had no idea what this meant, or why I was there, but I welcomed the opportunity to wear clothing a little while longer. Though my top and belted-skirt were skimpy lingerie by human standards, it was better than living in the buff twenty-four-seven.

  Sitting on the couch in my new room, trying to catch a nap before I was expected to perform for the Captain, I was startled when a svelte, green-striped female sauntered in the door and closed it behind her. She was naked, and showed the telltale lines of scarring on her hips and muscular thighs – a concubine.

  Suddenly the trip home to Cesar looked a little bit brighter. This female would significantly reduce the Captain’s demand for me. She could help carry the load of servicing his addiction. I stood and nodded in a greeting of respect. She looked at me with eyes full of menace.

  “Cronin tricked me into this agreement. I have no intention of sharing accommodations with a hairless bitch. Keep your distance from me, bitch, or pay the price.”

  I stepped away from her venomous tongue and watched her claws flex like she wanted to take a chunk out of my ass. Her senseless hatred enflamed me to the point my hands started to shake with fury, ready for combat. “If I had a choice, I would not be on this ship. I would never serve the Captain willingly. You chose to be here for him. You have no one to blame but yourself.”

  She launched at me with her claws out and landed on the end of my right fist. I hit her so hard she crumpled to the floor instantly. Out cold. I looked at her for a time, studying her bloodied face, her lanky, muscular body, and long, razor sharp claws.

  She was beautiful, sprawled out, peaceful and quiet. Gran females were far more attractive and interesting than the males. The vibrant green dye on her fur lent her a tropical, exotic look. I spent several minutes checking her out top to bottom. When I spread her legs wider, I confirmed what I suspected. She had a large vagina that could possibly accommodate a male the size of the Captain. With her on board, he may not even want me.

  The idea put a huge, stupid grin on my face.

  The female awoke a little while later from her nap on the floor and stood to glare at me with fuming hatred. She left the room without another word of protest.

  I guess that settled our little dispute.

  A few hours later the Captain summoned me to his room across the hall and ordered me to strip. So much for the notion he didn’t need me. I stood butt naked, resigned to my fate, and he snatched my hair to pull me in and growl in my face. “You are mine, Angel. Every part of you is mine. You may visit the Emperor’s brats when they call on you, but that does not give you the right to strike anyone aboard my ship!”

  Damn good thing he didn’t kno
w about all those Warriors I chopped up with one of their handy dandy gauntlet blades. I wanted to say something sharp, to scream in his face. Instead, I nodded best I could with my hair pulled tight in his grasp. “She attacked me, I only defended myself. I apologize if she was harmed. I only hit her once, to stop her from assaulting me.”

  His eyes pierced me with a searching look, like he expected resistance. “Chilla is my concubine for the duration of this voyage, and I will not have her treated poorly.”

  At risk of a good ass-kicking, I opened my big mouth. “What of my treatment? Am I to stand idle while she tries to kill me?”

  He let go of my hair and scowled at me. “If you have issue with her, bring it to me. I will manage her. It pains me to do this, but she has the right to punish you.”

  “If she mauled me as she intended, would I have the right to punish her?” I already knew the answer, but the two-faced bastard needed to have his twisted logic shoved back on him.

  In answer to my question, he clicked no, but declined to explain his fucked up reasoning.

  I doubted it pained him, but his face showed strain, as if he really felt shitty about letting his whore punish me. He pulled me down the hall, naked, to an empty room with two cables hanging from the ceiling and two more cables mounted to the floor.

  “Stand here, and don’t move.” He cinched the cables around my wrists and adjusted them to bring my arms up above my head. Then he wrapped the floor cables around my ankles and adjusted them so my legs spread out a meter wide. I had to pull on my wrist cables to help keep my balance in such an awkward stance.

  The door opened behind me and I smelled her perfumed fur as she entered. She purred slightly and came up on my backside. Her claws lashed down my back, cutting me open without warning. I screamed with the sudden burning agony and then giggled when my pain switch flipped.